**Input**
____________
(1)
A structure of composition C35H37IrN3OP2S2, computed with the ωB97M-V functional and the def2-TZVPD basis.

Computed properties:
Charge ... +1
Spin multiplicity ... 5
⟨S²⟩ ... 6.03
LUMO (spin up / spin down) ... -1.986 / -4.275 eV
Gap between HOMO and LUMO (spin up / spin down) ... 6.8580 / 6.5971 eV
Relative energy (zero: lowest compared OMol25 entry of this formula, charge and spin) ... 0.812 eV

The geometry in XYZ format:
```
81
Properties=species:S:1:pos:R:3:forces:R:3:lowdin_spin:R:1
Ir -1.1932 0.3785 -0.7150 0.1 0.4 0.5 1.8936
C -4.3384 4.0475 0.2305 0.0 0.0 0.0 0.0269
C -3.1515 3.2175 -0.1734 -0.1 -0.4 0.4 0.2077
S -2.8725 1.8114 0.7371 0.2 -0.1 -0.5 0.4502
C -2.3296 3.6323 -1.2171 0.6 0.0 -0.3 0.1813
C -2.6548 4.8822 -1.9873 0.0 0.0 0.1 0.0213
S -0.9232 2.8125 -1.6911 -0.4 -0.3 0.1 0.4561
H -4.8395 3.6018 1.0852 0.0 0.0 0.0 0.0041
H -5.0541 4.1252 -0.5914 0.0 0.0 0.0 0.0085
H -4.0299 5.0621 0.4912 0.0 0.0 0.0 0.0051
H -2.8474 5.7273 -1.3248 0.0 0.0 0.0 0.0027
H -3.5541 4.7161 -2.5865 0.0 0.0 0.0 0.0074
H -1.8404 5.1368 -2.6599 0.0 0.0 0.0 0.0046
N 1.7975 0.3434 -0.7118 0.2 0.1 0.0 0.0160
P 0.8611 0.7582 0.6437 0.5 0.5 -0.3 0.0767
C 1.2551 2.5037 1.0061 -0.1 -0.1 0.0 0.0121
C 0.2878 3.3250 1.5760 0.0 -0.1 -0.1 0.0068
C 0.5834 4.6464 1.8773 0.0 0.0 0.0 0.0007
C 1.8455 5.1548 1.6098 0.0 0.0 0.0 0.0005
C 2.8166 4.3362 1.0494 0.1 0.0 0.0 0.0006
C 2.5248 3.0142 0.7545 0.0 0.0 0.0 0.0030
C 1.7922 -0.0445 1.9922 -0.3 -0.2 0.0 0.0212
C 1.7302 0.4968 3.2770 0.0 0.0 -0.1 0.0103
C 2.4783 -0.0571 4.3016 0.0 0.0 0.0 -0.0008
C 3.2917 -1.1552 4.0538 0.0 0.0 0.0 0.0101
C 3.3242 -1.7226 2.7893 0.0 -0.1 0.0 -0.0004
C 2.5660 -1.1802 1.7612 -0.1 0.0 0.0 0.0104
P 0.9217 0.0354 -2.1343 0.4 -0.3 0.4 0.1283
C 1.2135 -1.7285 -2.4996 -0.2 0.1 0.0 0.0215
C 2.4729 -2.1977 -2.8739 0.0 0.0 0.0 0.0046
C 2.6628 -3.5460 -3.1255 0.1 0.0 0.0 0.0014
C 1.5983 -4.4332 -3.0183 0.0 0.0 0.0 0.0003
C 0.3455 -3.9728 -2.6444 0.0 -0.1 0.0 0.0005
C 0.1539 -2.6242 -2.3810 0.0 0.1 0.0 0.0090
C 1.9104 0.8570 -3.4198 -0.3 0.1 0.1 0.0219
C 2.7262 1.9422 -3.1120 -0.1 0.0 0.0 0.0128
C 3.5034 2.5273 -4.1009 0.0 0.0 0.0 -0.0007
C 3.4496 2.0498 -5.4012 0.0 0.0 0.0 0.0121
C 2.5959 1.0024 -5.7224 0.0 0.0 -0.1 -0.0011
C 1.8238 0.4093 -4.7388 0.0 0.0 0.1 0.0118
H 2.8064 0.2677 -0.6757 0.0 0.0 0.0 -0.0003
H -0.7055 2.9360 1.7671 0.0 0.0 0.0 0.0064
H -0.1765 5.2794 2.3177 0.0 0.0 0.0 0.0001
H 2.0781 6.1858 1.8419 0.0 0.0 0.0 0.0000
H 3.8065 4.7250 0.8475 0.0 0.0 0.0 0.0001
H 3.2965 2.3805 0.3338 0.0 0.0 0.0 0.0001
H 1.1094 1.3646 3.4640 0.1 0.0 0.0 0.0005
H 2.4348 0.3744 5.2931 0.0 0.0 0.0 -0.0002
H 3.9009 -1.5670 4.8477 0.0 0.0 0.0 0.0006
H 3.9438 -2.5899 2.6011 0.0 0.0 0.0 -0.0002
H 2.5700 -1.6476 0.7839 0.1 0.0 0.0 0.0005
H 3.3041 -1.5103 -2.9755 0.0 0.0 0.0 0.0002
H 3.6406 -3.9088 -3.4146 0.0 0.0 0.0 0.0002
H 1.7490 -5.4824 -3.2354 0.0 0.0 0.0 0.0000
H -0.4856 -4.6620 -2.5677 0.0 0.0 0.0 0.0000
H -0.8222 -2.2575 -2.0831 0.0 -0.1 0.0 0.0076
H 2.7416 2.3418 -2.1074 0.0 0.0 0.1 0.0006
H 4.1467 3.3618 -3.8539 0.0 0.0 0.0 -0.0003
H 4.0657 2.5006 -6.1680 0.0 0.0 0.0 0.0007
H 2.5333 0.6486 -6.7430 0.0 0.0 0.0 -0.0003
H 1.1633 -0.4126 -4.9882 0.0 0.0 0.0 0.0005
N -1.6082 -1.4481 0.5781 -0.2 -0.1 0.0 0.0925
C -2.1131 -1.9926 1.4712 0.1 0.0 -0.1 0.0243
N -2.6836 -2.5903 2.4733 -0.1 0.1 0.1 0.0175
C -1.8950 -3.2916 3.4945 0.2 -0.2 0.1 0.0008
C -1.9848 -4.8012 3.2869 -0.1 0.1 0.0 0.0009
C -3.4473 -5.2504 3.2274 0.1 0.0 -0.1 0.0000
C -4.2110 -4.4802 2.1478 0.1 0.1 0.1 0.0004
C -4.1000 -2.9790 2.3943 -0.2 -0.2 -0.1 0.0009
H -2.3111 -3.0253 4.4692 0.0 0.1 0.0 0.0002
H -0.8653 -2.9398 3.4507 0.0 0.1 0.0 0.0000
H -1.4637 -5.2999 4.1051 0.0 0.0 0.0 0.0001
H -1.4757 -5.0694 2.3570 0.0 0.0 0.0 0.0000
H -3.9195 -5.0763 4.1991 0.0 0.0 0.0 0.0000
H -3.4979 -6.3207 3.0268 0.0 0.0 0.1 0.0000
H -5.2630 -4.7678 2.1375 0.0 0.0 0.0 0.0000
H -3.7933 -4.7105 1.1636 0.0 0.0 0.0 0.0000
H -4.5630 -2.7195 3.3492 0.0 0.1 0.0 0.0006
H -4.5832 -2.4008 1.6086 0.0 0.1 0.0 0.0001
____________

**Request**
Write out the data above from the line with "2.7262 1.9422" to the end unchanged.

**Response**
C 2.7262 1.9422 -3.1120 -0.1 0.0 0.0 0.0128
C 3.5034 2.5273 -4.1009 0.0 0.0 0.0 -0.0007
C 3.4496 2.0498 -5.4012 0.0 0.0 0.0 0.0121
C 2.5959 1.0024 -5.7224 0.0 0.0 -0.1 -0.0011
C 1.8238 0.4093 -4.7388 0.0 0.0 0.1 0.0118
H 2.8064 0.2677 -0.6757 0.0 0.0 0.0 -0.0003
H -0.7055 2.9360 1.7671 0.0 0.0 0.0 0.0064
H -0.1765 5.2794 2.3177 0.0 0.0 0.0 0.0001
H 2.0781 6.1858 1.8419 0.0 0.0 0.0 0.0000
H 3.8065 4.7250 0.8475 0.0 0.0 0.0 0.0001
H 3.2965 2.3805 0.3338 0.0 0.0 0.0 0.0001
H 1.1094 1.3646 3.4640 0.1 0.0 0.0 0.0005
H 2.4348 0.3744 5.2931 0.0 0.0 0.0 -0.0002
H 3.9009 -1.5670 4.8477 0.0 0.0 0.0 0.0006
H 3.9438 -2.5899 2.6011 0.0 0.0 0.0 -0.0002
H 2.5700 -1.6476 0.7839 0.1 0.0 0.0 0.0005
H 3.3041 -1.5103 -2.9755 0.0 0.0 0.0 0.0002
H 3.6406 -3.9088 -3.4146 0.0 0.0 0.0 0.0002
H 1.7490 -5.4824 -3.2354 0.0 0.0 0.0 0.0000
H -0.4856 -4.6620 -2.5677 0.0 0.0 0.0 0.0000
H -0.8222 -2.2575 -2.0831 0.0 -0.1 0.0 0.0076
H 2.7416 2.3418 -2.1074 0.0 0.0 0.1 0.0006
H 4.1467 3.3618 -3.8539 0.0 0.0 0.0 -0.0003
H 4.0657 2.5006 -6.1680 0.0 0.0 0.0 0.0007
H 2.5333 0.6486 -6.7430 0.0 0.0 0.0 -0.0003
H 1.1633 -0.4126 -4.9882 0.0 0.0 0.0 0.0005
N -1.6082 -1.4481 0.5781 -0.2 -0.1 0.0 0.0925
C -2.1131 -1.9926 1.4712 0.1 0.0 -0.1 0.0243
N -2.6836 -2.5903 2.4733 -0.1 0.1 0.1 0.0175
C -1.8950 -3.2916 3.4945 0.2 -0.2 0.1 0.0008
C -1.9848 -4.8012 3.2869 -0.1 0.1 0.0 0.0009
C -3.4473 -5.2504 3.2274 0.1 0.0 -0.1 0.0000
C -4.2110 -4.4802 2.1478 0.1 0.1 0.1 0.0004
C -4.1000 -2.9790 2.3943 -0.2 -0.2 -0.1 0.0009
H -2.3111 -3.0253 4.4692 0.0 0.1 0.0 0.0002
H -0.8653 -2.9398 3.4507 0.0 0.1 0.0 0.0000
H -1.4637 -5.2999 4.1051 0.0 0.0 0.0 0.0001
H -1.4757 -5.0694 2.3570 0.0 0.0 0.0 0.0000
H -3.9195 -5.0763 4.1991 0.0 0.0 0.0 0.0000
H -3.4979 -6.3207 3.0268 0.0 0.0 0.1 0.0000
H -5.2630 -4.7678 2.1375 0.0 0.0 0.0 0.0000
H -3.7933 -4.7105 1.1636 0.0 0.0 0.0 0.0000
H -4.5630 -2.7195 3.3492 0.0 0.1 0.0 0.0006
H -4.5832 -2.4008 1.6086 0.0 0.1 0.0 0.0001